
Sunday, October 20, 2013

Someone pasted data records at this point >
'''
Entry 1:
{
  "formula": "C6H11NS",
  "method": "ωB97M-V/def2-TZVPD",
  "elements": ["H", "H", "C", "H", "H", "N", "C", "C", "H", "S", "H", "C", "H", "H", "C", "C", "H", "H", "H"],
  "xyz": [[-1.383, -1.419, 1.106], [-2.005, 1.084, 0.711], [0.724, -1.109, 0.798], [-1.765, -0.723, -2.791], [1.514, -1.497, 1.597], [0.005, 1.668, 0.327], [-0.830, 0.433, -0.951], [-0.988, 0.616, 0.518], [-0.561, -0.317, 2.190], [-1.239, -1.131, -1.465], [1.887, -0.789, -0.943], [-0.690, -0.525, 1.223], [-1.437, 1.243, -1.462], [0.467, -2.042, 0.240], [0.593, 0.792, -0.796], [1.528, -0.083, -0.159], [0.495, 2.003, 1.104], [2.436, 0.383, 0.162], [1.248, 1.411, -1.410]],
  "nbo_charge": [0.232, 0.196, -0.415, 0.149, 0.220, -0.630, -0.395, -0.072, 0.218, -0.019, 0.209, -0.455, 0.261, 0.215, -0.073, -0.424, 0.354, 0.222, 0.207],
  "e_above_lowest_ev": 3.3101,
  "total_charge": 0
}

Entry 2:
{
  "formula": "C13H26FN3O9S",
  "method": "ωB97M-V/def2-TZVPD",
  "elements": ["H", "O", "C", "C", "O", "H", "H", "N", "O", "H", "H", "C", "C", "C", "H", "N", "O", "H", "H", "H", "H", "H", "H", "C", "H", "O", "C", "H", "H", "C", "C", "C", "H", "O", "H", "H", "S", "H", "H", "O", "C", "H", "H", "C", "F", "H", "H", "N", "H", "O", "H", "O", "C"],
  "xyz": [[0.213, -2.444, -5.280], [-2.818, -1.280, -0.382], [1.830, 4.409, 4.612], [1.957, 3.531, 3.371], [1.033, -0.866, -2.930], [0.975, -1.553, -0.495], [-0.263, -4.045, -4.861], [-0.436, -3.049, -0.360], [-0.270, 2.374, -0.503], [2.729, 5.012, 4.738], [-0.156, 3.696, 2.832], [0.625, 2.928, 2.903], [-2.845, -0.306, 0.601], [1.636, -3.565, -4.127], [-0.100, -3.172, 0.584], [2.971, 2.503, 3.620], [-0.390, 0.324, -1.018], [2.564, 1.817, 4.250], [0.772, 2.533, 1.895], [-2.930, -1.458, -2.407], [-0.935, -0.899, 1.252], [-1.680, 0.344, 2.274], [2.319, 4.167, 2.558], [0.571, -2.332, -1.132], [-1.027, -3.531, -2.745], [-1.077, 0.231, -3.195], [0.219, -3.153, -4.467], [-2.243, -1.373, 2.308], [2.270, -2.687, -4.103], [-2.498, -0.796, -1.672], [-0.656, -2.679, -3.298], [-1.857, -0.555, 1.706], [1.378, -2.998, -1.425], [0.339, -0.146, -5.193], [1.710, 3.820, 5.520], [3.137, 1.983, 2.763], [0.384, 0.293, -3.847], [-1.197, 1.347, 5.097], [1.721, -4.123, -3.200], [1.006, 1.537, -3.595], [-0.522, 2.169, 4.860], [-1.113, 3.081, 4.735], [-1.527, -2.215, -3.753], [-1.020, -0.531, -1.935], [2.112, -4.336, -5.176], [0.167, 2.289, 5.699], [-0.573, -3.989, -0.706], [-0.998, 1.634, -0.992], [-2.996, 0.164, -1.793], [-3.633, 0.616, 0.575], [0.980, 5.089, 4.529], [0.169, 1.829, 3.672], [-0.031, -1.639, -2.363]],
  "nbo_charge": [0.245, -0.527, -0.614, -0.082, -0.689, 0.218, 0.222, -0.835, -0.196, 0.222, 0.167, -0.077, 0.808, 0.053, 0.370, -0.822, -0.474, 0.353, 0.186, 0.219, 0.232, 0.251, 0.192, -0.235, 0.224, -0.727, -0.443, 0.245, 0.177, -0.143, -0.445, -0.730, 0.188, -0.907, 0.201, 0.351, 2.555, 0.187, 0.150, -0.889, -0.249, 0.172, 0.228, 0.575, -0.368, 0.168, 0.357, 0.412, 0.227, -0.552, 0.203, -0.556, 0.204],
  "total_charge": 0
}

Entry 3:
{
'''
The Narrative Narrative (Part 1)

Narrative seems to be one of those words that’s really caught on in recent years. No opinion on politics or society seems complete without at least some comment on the “narrative” that we/them have built/are building/will build.
This thought actually struck me as I sat at the Lahore Literary Festival held in the city in February (yes, this is the average time it takes me to get a thought down on metaphorical paper).  So, as I sat through my third session where speakers spoke at length about the issue of the narrative in Pakistan, I found myself somewhat irritated by the fact that the conversations seemed stuck well within the confines of “the narrative”.
To be fair, this third talk was titled “National Narrative” so I don’t know what I was expecting. A small disclaimer, perhaps, that while we discuss these things, listeners should bear in mind other socio-economics factors that may have contributed to the events we are discussing. Besides, talks before and after that did not contain the word narrative in their title, and seemed equally fixated with the idea.
“But, you idiot,” I hear you exclaim, “it was a literary festival, of course they were going to focus on narratives”. And quite right you are, imaginary reader, and here exactly, is where one of the several problems lies. Bear with me.
Of course, since then, I kept a look out for the appearance of narratives and their explanations. Sure enough, from the mainlands of English newspapers to the coastal regions of Twitter, everybody and their uncle was going off about narrative this and narrative that.
I think there are several reasons for this trend, mostly driven by the explosive growth in the independent media in the country and a lack of trained specialists. Allow me to take you through them one by one.
Let’s take the Literary Festival example to begin with. Let me get into my bullet-proof tank, drive to a safe distance, pull out my megaphone, and humbly suggest that there is some level of personal ego-massaging and self-aggrandisement going on here. After all, who are these people who treat narratives like atomic energy; beneficial in the right hands, devastating in the wrong ones? These Op-Ed writers and “social commentators” are exactly the same people involved in the framing of said narratives. So, it comes as no surprise that they think and suggest that this is the most crucial job in the world. It’s sort of like, if the guy who cleaned the Apollo 11 rocket before launch, told you that had the windshield not been cleaned properly, there would have been no moon-landing! That may be true, but it’s far from the whole story. Furthermore, the importance of the narrative does lie somewhat with how much importance society gives it. So simply by saying it’s important, it becomes important!
The second reason narratives are in vogue is also fairly closely related to the one given above. The sheer convenience for lazy pseudo-intellectuals, such as me (specifically the ones who write about unquantifiable, vague topics such as narratives) is immense. Had I been writing about more earthy topics, such as, say, scientific developments or economics, I might have had to actually go through troves of literature and data to be able to back up my opinions with solid report-based facts. I would be open to attack by anyone who understood the subject, and would run the risk of being objectively proved wrong. For example, if I were to say that people were growing poorer in the 70s, I would either have to quote some figures, or run the risk of someone else doing so and proving me wrong.
On the other hand, if I were to say, people grew more intolerant in the 70s, I need not bother with any of that. Opinion, and even better, opinion dressed up as history, has the dual advantage of sounding profound, and being fairly unchallengeable. It serves, therefore, as a benign hobby-horse that will neither buck nor rear.
**Next to the page, the page also holds records of molecules:**
Here is a molecular structure, C4H24O10 at a distorted geometry from the OMol25 dataset. Energies are from ωB97M-V with the def2-TZVPD basis set.

Each line ends with the natural charge from an NBO analysis.
Atoms and positions in Å:
O: 0.62928 -0.17135 -2.95973  -0.39
C: 0.93470 -0.89912 -2.06049  0.48
C: 1.48910 -0.36745 -0.72863  -0.56
C: 0.58261 0.51541 0.09198  0.10
C: 1.40710 1.26049 1.16986  -0.63
O: -0.04276 1.45117 -0.81555  -0.49
H: 0.85934 -1.98642 -2.11455  0.21
H: 2.35948 0.27410 -0.95227  0.28
H: 1.96919 -1.21189 -0.23090  0.30
H: -0.37373 0.06368 0.40509  0.21
H: 2.48293 1.33411 0.95413  0.24
H: 1.45975 0.53478 1.97700  0.30
H: 1.08310 2.28968 1.34278  0.26
H: -0.84428 1.86776 -0.42499  0.49
H: -2.34624 -1.44566 2.02875  0.50
H: -2.90265 -0.83084 0.74001  0.52
O: -2.34472 -0.61018 1.53170  -1.02
H: -1.50515 0.15248 -2.77596  0.48
H: -1.95406 1.32064 -2.11216  0.47
O: -2.35262 0.50603 -2.42343  -0.93
H: -1.96050 -1.89365 -0.58495  0.47
H: -2.67364 -1.02440 -1.57799  0.50
O: -2.84893 -1.60877 -0.81353  -0.95
H: 2.16757 -1.31352 2.16693  0.47
H: 3.64433 -0.93286 1.94684  0.48
O: 3.02895 -1.69513 1.94281  -0.94
H: -2.29261 1.38617 0.71545  0.52
H: -2.89461 2.40996 -0.17048  0.53
O: -2.01603 2.07775 0.08878  -0.93
H: 1.03819 2.61675 -1.61639  0.46
H: 2.05937 2.39616 -2.65393  0.46
O: 1.84533 3.04729 -1.96099  -0.92
H: -0.11576 -3.62259 0.55628  0.49
H: 0.53305 -2.57257 1.41426  0.49
O: 0.16737 -2.68883 0.53160  -0.98
H: -0.00004 -0.10277 3.25101  0.50
H: -0.48044 -0.10807 1.75799  0.50
O: 0.20798 -0.41833 2.36366  -0.98

Output
Charge: +1
Multiplicity: 2
HOMO level (spin up / spin down) in eV: -14.33 / -14.14
Relative energy (zero: lowest compared OMol25 entry of this formula, charge and spin) in kcal per mole: 0.0
Frontier orbital gap (spin up / spin down) in eV: 10.406 / 5.180


1.
The following is a DFT calculation (wB97M-V/def2-TZVPD) of one molecule with the formula C17H20N2O3.

* LUMO: 0.682 eV
* total energy: -995.024358 hartree
* SMILES string: COCCNC(=O)COc1ccc(Nc2ccccc2)cc1
* energy relative to the best compared isomer or geometry (same formula, charge and spin): 2.196 eV
* HOMO level: -7.48 eV

Element x y z (Å)
C1 4.49553 -4.27379 1.01999
H1 3.69267 -5.01994 1.07302
O1 4.60037 -3.55828 2.23081
C2 3.40745 -2.97384 2.67725
C3 2.87000 -1.84020 1.77902
N1 1.86500 -2.29068 0.84644
C4 2.02928 -2.31180 -0.48759
O2 3.04893 -1.98760 -1.05998
C5 0.80032 -2.82866 -1.24431
O3 -0.40789 -2.70061 -0.53563
C6 -0.94794 -1.44023 -0.40495
C7 -2.21625 -1.37932 0.16832
C8 -2.84740 -0.16760 0.33839
C9 -2.23338 1.02298 -0.06129
C10 -0.94784 0.95509 -0.59454
C11 -0.31292 -0.26126 -0.77119
H2 0.68549 -0.26901 -1.17982
H3 -0.42360 1.86210 -0.84994
N2 -2.89480 2.22024 0.14940
C12 -2.74349 3.42470 -0.51552
C13 -3.18011 4.59316 0.11315
C14 -3.06971 5.81528 -0.51865
C15 -2.52726 5.89895 -1.79049
C16 -2.11807 4.74142 -2.43101
C17 -2.22821 3.51262 -1.80906
H4 -1.94247 2.61531 -2.33525
H5 -1.71714 4.79247 -3.43283
H6 -2.43573 6.85546 -2.28183
In fact, the simplistic arguments involved in discussing narratives means that everybody can have a good time throwing around terms like “leftist” or “right-wing ideology” or “democratic principles” or any other such term without the inconvenience of having to actually define or understand them. In the eyes of the narrative, we are all equal!
Moving on, another major reason discussions on narratives are doing the rounds is that they are easy to digest. Without offending the sensibilities of the reader, these writers are able to provide a nicely packaged, one-stop explanation for everything that has gone wrong with the country. The fault lies with everyone who propagated the narrative and everyone who follows it. It is unlikely that you are responsible for propagating the narrative. Furthermore, by reading said article/blog/tweet you have proved that you are a shrewd, intellectual, tolerant, humane, politically savvy Man-of-the-world. You, dear reader, are A-OK! You're on the inside track. It’s all these other morons around you who keep buying into this nonsense; they have let us all down. We must either fight them or rescue them from their own stupidity.
This feeds quite well off the fact that media outlets are also incentivised not to hire experts or worry about their aptitude in their specific fields. All they need are people who have the skill of holding an opinion (any opinion, really), and the ability to dress up said opinions and present them.
# Calculated molecules from another source follow
~~~
Model A:
The following is a DFT calculation (the ωB97M-V functional and the def2-TZVPD basis) of a structure of composition C8H6ClI2NO.

As for the HOMO energy (spin up / spin down): -7.618 / -9.296 eV. The net charge is 0. As for the expectation value of S²: 2.014. The spin multiplicity is 3. The calculation puts the molar mass at 421.403 g mol⁻¹.

Geometry (Å):
C (1.374, 1.211, -1.137)
C (1.139, 2.557, -1.395)
C (-0.606, 1.193, 0.156)
C (0.504, 0.473, -0.384)
C (0.155, 3.201, -0.636)
C (0.696, -1.064, -0.106)
C (0.523, -1.972, -1.212)
C (-2.057, 5.133, 1.537)
N (-0.720, 2.492, 0.034)
O (0.988, -1.403, 1.024)
Cl (-0.285, 4.797, -0.966)
I (-1.680, 4.504, 3.444)
I (-3.619, 4.505, 0.536)
H (2.340, 0.827, -1.525)
H (1.873, 3.211, -2.065)
H (-1.377, 0.660, 0.653)
H (-0.587, -2.289, -1.202)
H (1.019, -2.847, -1.120)
H (0.698, -1.630, -2.234)

Model B:
The following is a DFT calculation (the ωB97M-V functional and the def2-TZVPD basis) of a structure of composition C8H6ClI2NO.

As for the HOMO energy (spin up / spin down): -6.342 / -9.465 eV. The net charge is 0. As for the expectation value of S²: 2.012. The spin multiplicity is 3. The calculation puts the molar mass at 421.403 g mol⁻¹.

Geometry (Å):
C (0.340, -0.524, 1.178)
C (-1.012, -0.130, 1.411)
C (0.180, 0.050, -1.122)
C (0.995, -0.355, -0.038)
C (-1.550, 0.261, 0.258)
C (2.485, -0.489, -0.052)
C (3.189, 0.097, -1.235)
C (-3.778, 0.492, 0.616)
N (-1.058, 0.349, -0.922)
O (2.989, -1.143, 0.804)
Cl (-4.059, 0.036, 2.213)
I (-4.279, -1.036, -0.754)
I (-4.297, 2.514, 0.105)
H (1.048, -0.696, 1.994)
H (-1.533, -0.189, 2.281)
H (0.412, -0.067, -2.135)
H (3.047, 1.182, -1.212)
H (2.660, -0.207, -2.190)
H (4.220, -0.145, -1.200)

Decreasing stability: model A, model B

Model A:
The following is a DFT calculation (the ωB97M-V functional and the def2-TZVPD basis) of a cluster of 2 separate species, NO6S in total.

As for the HOMO energy: -4.780 eV. The net charge is -1. The calculation puts the molar mass at 142.068 g mol⁻¹.

Geometry (Å):
N (1.547, -1.256, -0.407)
O (0.320, -0.986, -0.251)
O (-0.821, 2.232, -0.326)
O (2.356, -0.341, -0.327)
O (-1.286, 1.075, 1.785)
O (-2.587, 0.524, -0.214)
O (1.928, -2.411, -0.630)
S (-1.456, 1.165, 0.371)

Model B:
The following is a DFT calculation (the ωB97M-V functional and the def2-TZVPD basis) of the ion NO6S with charge -1.

As for the SMILES: O=[N+]([O-])OS(=O)(=O)[O-]. As for the HOMO energy: -6.142 eV. The net charge is -1. The calculation puts the molar mass at 142.068 g mol⁻¹.

Geometry (Å):
O (0.183, 2.127, 1.111)
N (0.525, 1.086, 0.707)
O (0.975, 0.149, 1.333)
O (0.429, 0.857, -0.623)
S (-0.408, -0.885, -0.604)
O (0.708, -1.733, -0.505)
O (-1.336, -0.723, 0.500)
O (-1.076, -0.877, -1.919)

Decreasing stability: model B, model A


This record from the OMol25 dataset describes 3 unconnected molecules or ions with the total composition C27H55BrO7S in a non-equilibrium geometry. The level of theory is the ωB97M-V functional and the def2-TZVPD basis.
~~~
# End of the calculated molecules
By the way, a glaring result of this was the whole Agha Waqar water-car story. For once, news channels were faced with a story where their masterly powers of storytelling were of no use. The science was either solid or it wasn't! Finding out which required some basic understanding of science coupled with a bit of reading up on the specific issues at hand. Not being equipped with the faculties required for either, news channels decided to treat the story in their traditional manner. They decided to call everyone on television and “talk it out” until they reached a conclusion. The result, of course, was that a story that should not have made it past a preliminary vetting phase became a national phenomenon. Week after week, scientists such as Dr. Atta-ur-Rehman spluttered in disbelief as they sat across Agha Waqar (science’s answer to the “social commentator”) who sat convincingly spouting nonsensical terms, while anchors cluelessly nodded at both with equal reverence. The one thing that kept Agha Waqar going was the fact that news media turned him into a narrative story as well – the poor untrained science genius who was going to solve everyone’s energy problems by sticking it to the oil companies!
Right about now, even I am growing tired of this topic. I can only imagine the amount of blood oozing out of your eyes. So let me leave the conclusions for my next post, while all one of you who made it thus far digest what I am trying to say.
I picked up this topic because of the harm I think this over-emphasis on the narrative does (notice that I don’t need to back up either this or the coming assessment).  Part deux will deal with exactly what harm I am referring to.